So I have this terrible habit that I need to break: I don't leave the house. So now we're not talking I've got agoraphobia to where I need to see a doctor.
At least, I don't think it's that serious - yet.
I wasn't always like this.
Of course, Pre-Pandemic, I'd leave the house to work. But even then, my first instinct after work was to get home ASAP. My routine was work, then home. I rarely went out for beers with co-workers.
Then the Pandemic hit, and well, there went the ball game. Now staying home meant saving lives. I liked working remotely because of oodles of time not commuting.
But when the restrictions loosened up, I still opted to stay home.
This slight agoraphobia is bothering me today because a) I might have to commute to a new job, and b) there's only so much to photograph in my house.
Now I got it yesterday. I planned to work all day and maybe go out to eat with Lucy.
But Lucy needed to work on her classroom and asked if I'd help. I said okay.
Records of molecules, kept here for reference.
<<<
Here is a 2-piece molecular cluster, C12H22BN5OP overall in a non-equilibrium geometry from the Open Molecules 2025 dataset. Energies are from ωB97M-V with the def2-TZVPD basis set.

Output
* total charge: +1
* energy: -1185.404300 Eh
* gap between HOMO and LUMO: 8.242 eV
* LUMO level: -0.1077 hartree
* max |F|: 5.3 eV/Å

Last columns: bonded neighbours and bond lengths (Å).
Atoms and positions in Å:
1 C -4.607 -1.987 -1.502  C2 1.572, H13 1.102, H14 1.109, H15 1.104
2 C -3.342 -1.586 -0.660  C1 1.572, B3 1.589, H16 1.114, H17 1.109
3 B -3.335 -2.332 0.743  C2 1.589, O4 1.388, C5 1.622
4 O -4.279 -3.292 1.082  B3 1.388, H18 0.974
5 C -2.215 -1.939 1.848  B3 1.622, C6 1.505, C8 1.592, H19 1.111
6 C -0.794 -2.022 1.358  C5 1.505, N7 1.124
7 N 0.209 -2.262 0.912  C6 1.124
8 C -2.529 -0.510 2.475  C5 1.592, C9 1.504, P11 1.864, H20 1.108
9 C -2.601 -0.607 3.974  C8 1.504, N10 1.119
10 N -2.894 -0.731 5.047  C9 1.119
11 P -1.310 0.825 2.017  C8 1.864, N12 1.597, H21 1.427, H22 1.426
12 N -2.050 2.234 2.144  P11 1.597, H23 1.022
13 H -4.590 -1.573 -2.523  C1 1.102
14 H -4.596 -3.093 -1.568  C1 1.109
15 H -5.539 -1.720 -0.972  C1 1.104
16 H -3.357 -0.493 -0.443  C2 1.114
17 H -2.458 -1.823 -1.286  C2 1.109
18 H -4.596 -3.049 1.970  O4 0.974
19 H -2.313 -2.679 2.672  C5 1.111
20 H -3.508 -0.189 2.068  C8 1.108
21 H -0.881 0.743 0.659  P11 1.427
22 H -0.181 0.894 2.886  P11 1.426
23 H -3.003 2.034 2.455  N12 1.022
24 C 5.858 0.111 -1.517  C25 1.519, H32 1.091, H33 1.089, H34 1.091
25 C 4.834 0.207 -0.399  C24 1.519, N26 1.471, H35 1.091, H36 1.089
26 N 3.571 0.806 -0.858  C25 1.471, C27 1.376, C30 1.332
27 C 2.323 0.232 -0.776  N26 1.376, C28 1.357, H37 1.077
28 C 1.439 1.143 -1.252  C27 1.357, N29 1.376, H38 1.075
29 N 2.165 2.251 -1.622  C28 1.376, C30 1.330, C31 1.464
30 C 3.454 2.026 -1.379  N26 1.332, N29 1.330, H39 1.078
31 C 1.632 3.493 -2.184  N29 1.464, H40 1.089, H41 1.088, H42 1.086
32 H 6.084 1.094 -1.933  C24 1.091
33 H 6.786 -0.317 -1.142  C24 1.089
34 H 5.488 -0.516 -2.329  C24 1.091
35 H 5.213 0.825 0.416  C25 1.091
36 H 4.623 -0.782 0.004  C25 1.089
37 H 2.214 -0.762 -0.375  C27 1.077
38 H 0.370 1.145 -1.371  C28 1.075
39 H 4.260 2.716 -1.568  C30 1.078
40 H 2.054 3.646 -3.176  C31 1.089
41 H 1.906 4.323 -1.536  C31 1.088
42 H 0.549 3.432 -2.255  C31 1.086

~~~~~

11
Properties=species:S:1:pos:R:3:forces:R:3:lowdin_charge:R:1 method="wB97M-V/def2-TZVPD" smiles="Nc1[nH]c(=O)oc1Cl" multiplicity=1 e_above_lowest_kj_mol=0.0 orbital_gap_ev=8.894 e_homo_ev=-8.411
C -0.160809 -0.821293 -0.585354 -0.2 0.2 0.2 -0.373
C -1.519943 0.741388 0.385234 0.7 -0.7 -0.2 -0.517
C 0.583434 0.043822 0.102049 0.3 0.0 0.0 -0.699
H -0.141903 -2.788468 -1.048191 0.0 0.0 0.0 0.098
H 1.110130 -1.899265 -1.643841 0.3 -0.1 -0.1 0.080
H -2.296915 -0.721448 -0.918971 0.9 0.3 0.6 0.182
N 0.129801 -1.888517 -1.425224 -0.1 0.0 0.0 0.118
N -1.480595 -0.412650 -0.371804 -1.1 -0.1 -0.5 0.175
O -2.451390 1.388478 0.744264 -0.2 0.3 0.1 0.127
>>>
So much for the records of molecules.
But right before leaving, Lucy texted me, telling me the storm passing through had just knocked out the lights. So she was coming home.
I was relieved because I didn't have to leave the house.
I did go to Wing Stop, and while there, this guy and I watched a few innings of the Little League World Series between Japan and Canada.
We talked about how passionate the Japanese are about baseball. He said it was because we've got tons of sports here in the US. That made a little sense.
And I was reminded why I couldn't watch sports, yelling at some kid that missed a nice pitch over the plate. The whole place looked at me, and I smiled and pointed at the TV.
I brought up that Marcos plays rugby to the guy watching the game with me, and he said, "I thought about playing rugby, but my body is a temple. I need pads and a helmet." I hadn't heard that one before.
Then this one woman walked in with this nice aquatic sleeve tattoo. This Marlin was jumping out of the water on the back of her arm. It was so detailed the artist even got a glint of the sun hitting the Marlin in midair. I lost count of the sea creatures she had on there. The coolest part is that her entire sleeve was aqua for the ocean. The tattoo stretched from her upper arm down to her wrists.
I'm kicking myself for not writing down the tattoo artist's name since I did ask. I'm still considering getting tatted up.
The good news is that I have an interview already set for Monday.
Some lady liked my graceful post on LinkedIn about leaving my job and messaged me, which was cool.
So I'm back on the saddle again on that.
But before I forget, why is my leaving the house a big deal to me this morning? Well, I need to get out into the world a bit more. I need to make it a point not only to photograph but live a life worth photographing and meeting new and exciting people.
That's what was bothering me this morning.